# Assignment
Could you reproduce the contents further below from the line with "-0.892 0.214" to the end with every line break kept?

# Excerpt
<<<
Version one
The following is a quantum chemistry calculation of one molecule with the formula CH3NOS2, from OMol25.

CARTESIAN COORDINATES (ANGSTROEM)
C -0.364 -1.347 0.873
N 0.232 0.434 -1.043
O 1.506 3.001 -1.795
S -0.892 0.214 0.066
S 0.175 2.585 -1.435
H -0.419 -2.167 0.178
H -0.877 -1.497 1.903
H 0.639 -1.222 1.252

The spin multiplicity is 1. The frontier orbital gap (spin up / spin down) comes out at 8.54 / 6.92 eV. As for the HOMO energy (spin up / spin down): -0.338 / -0.301 hartree.

=====

Version two
The following is a quantum chemistry calculation of a 2-piece molecular cluster, CH3NOS2 overall, from OMol25.

CARTESIAN COORDINATES (ANGSTROEM)
C 0.694 -0.967 0.434
N 0.029 -0.864 -0.661
O -1.108 1.912 0.324
S 1.207 -2.387 0.990
S -0.950 1.258 -1.102
H 0.773 -0.056 1.042
H 0.076 -1.683 -1.289
H -0.722 2.787 0.261

The spin multiplicity is 1. The frontier orbital gap (spin up / spin down) comes out at 5.98 / 5.98 eV. As for the HOMO energy (spin up / spin down): -0.300 / -0.300 hartree.

=====

Here are the energies relative to the best structure, in eV: version one 0.304; version two 0.000.

=====

Version one
The following is a quantum chemistry calculation of a 2-piece molecular cluster, C3H5NOS2 overall, from OMol25.

CARTESIAN COORDINATES (ANGSTROEM)
C 1.203 1.078 0.083
C 1.767 -0.369 -0.187
C -0.953 -1.249 0.477
H 0.654 1.184 1.053
H 2.052 1.901 -0.144
H 0.357 1.300 -0.537
H -1.270 -1.400 1.751
H -3.345 0.469 -1.171
N -1.678 -0.389 -0.687
O -2.846 -0.195 -0.142
S 3.434 -0.584 -0.231
S 0.626 -1.745 -0.265

The spin multiplicity is 1. The frontier orbital gap comes out at 7.55 eV. As for the HOMO energy: -0.308 hartree.

=====

Version two
The following is a quantum chemistry calculation of one molecule with the formula C3H5NOS2, from OMol25.

CARTESIAN COORDINATES (ANGSTROEM)
C -1.688 0.049 -0.119
C 0.894 -1.049 0.387
C 1.807 -0.118 -0.436
H -0.191 1.611 0.017
H -1.862 1.977 0.555
H 1.390 -1.990 0.538
H 0.524 -0.776 1.384
H 2.854 -0.588 -0.890
N -1.151 1.239 0.183
O 1.532 1.089 -0.741
S -3.342 -0.106 -0.412
S -0.767 -1.339 -0.466

The spin multiplicity is 1. The frontier orbital gap comes out at 7.91 eV. As for the SMILES: NC(=S)SCC=O. As for the HOMO energy: -0.305 hartree.

=====

Here are the energies relative to the best structure, in eV: version one 6.573; version two 0.000.

=====

Version one
The following is a quantum chemistry calculation of one molecule with the formula C3H5NOS2, from OMol25.

CARTESIAN COORDINATES (ANGSTROEM)
C 0.722 1.613 0.164
C -1.559 -1.079 -0.141
C 1.017 -0.850 -0.050
H 0.476 1.736 1.301
H 1.821 1.569 0.066
H 0.163 2.439 -0.434
H -2.075 -1.268 -1.229
H -2.318 -1.312 0.572
N 0.256 0.292 -0.391
O -1.045 0.202 0.074
S -0.095 -2.229 0.129
S 2.637 -1.112 -0.060

The spin multiplicity is 1. The frontier orbital gap comes out at 8.89 eV. As for the SMILES: CN1OCSC1=S. As for the HOMO energy: -0.322 hartree.

=====

Version two
The following is a quantum chemistry calculation of C3H5NOS2 as an isolated structure, from OMol25.

CARTESIAN COORDINATES (ANGSTROEM)
C -1.707 0.243 0.051
C 0.532 -0.389 0.071
C 0.731 1.110 0.208
N -0.961 -0.781 0.093
O -1.208 -1.964 0.105
S -3.994 -0.094 -0.275
S -0.967 1.853 0.083
H 0.983 -0.918 -0.835
H 1.068 -0.935 0.941
H 1.022 1.412 1.215
H 1.313 1.760 -0.502
H -3.977 -1.471 -0.381

The spin multiplicity is 1. The frontier orbital gap comes out at 7.19 eV. As for the HOMO energy: -0.299 hartree.

=====

Here are the energies relative to the best structure, in eV: version one 0.000; version two 1.980.


(A)
Computed, not measured: 2 unconnected molecules or ions with the total composition C9H14O, with wB97M-V/def2-TZVPD.

Each atom is followed by the atoms it is bonded to, with distances in Å.
Element x y z (Å)
1 C 0.5971 -1.3824 -3.5503  C2 1.547, H3 1.095, H4 1.089, H5 1.091
2 C -0.8109 -2.0131 -3.4341  C1 1.547, H6 1.084, H7 1.089, H8 1.090
3 H 1.0944 -1.6564 -4.4869  C1 1.095
4 H 0.6291 -0.2957 -3.4847  C1 1.089
5 H 1.2311 -1.7670 -2.7494  C1 1.091
>>>

# Completed
S -0.892 0.214 0.066
S 0.175 2.585 -1.435
H -0.419 -2.167 0.178
H -0.877 -1.497 1.903
H 0.639 -1.222 1.252

The spin multiplicity is 1. The frontier orbital gap (spin up / spin down) comes out at 8.54 / 6.92 eV. As for the HOMO energy (spin up / spin down): -0.338 / -0.301 hartree.

=====

Version two
The following is a quantum chemistry calculation of a 2-piece molecular cluster, CH3NOS2 overall, from OMol25.

CARTESIAN COORDINATES (ANGSTROEM)
C 0.694 -0.967 0.434
N 0.029 -0.864 -0.661
O -1.108 1.912 0.324
S 1.207 -2.387 0.990
S -0.950 1.258 -1.102
H 0.773 -0.056 1.042
H 0.076 -1.683 -1.289
H -0.722 2.787 0.261

The spin multiplicity is 1. The frontier orbital gap (spin up / spin down) comes out at 5.98 / 5.98 eV. As for the HOMO energy (spin up / spin down): -0.300 / -0.300 hartree.

=====

Here are the energies relative to the best structure, in eV: version one 0.304; version two 0.000.

=====

Version one
The following is a quantum chemistry calculation of a 2-piece molecular cluster, C3H5NOS2 overall, from OMol25.

CARTESIAN COORDINATES (ANGSTROEM)
C 1.203 1.078 0.083
C 1.767 -0.369 -0.187
C -0.953 -1.249 0.477
H 0.654 1.184 1.053
H 2.052 1.901 -0.144
H 0.357 1.300 -0.537
H -1.270 -1.400 1.751
H -3.345 0.469 -1.171
N -1.678 -0.389 -0.687
O -2.846 -0.195 -0.142
S 3.434 -0.584 -0.231
S 0.626 -1.745 -0.265

The spin multiplicity is 1. The frontier orbital gap comes out at 7.55 eV. As for the HOMO energy: -0.308 hartree.

=====

Version two
The following is a quantum chemistry calculation of one molecule with the formula C3H5NOS2, from OMol25.

CARTESIAN COORDINATES (ANGSTROEM)
C -1.688 0.049 -0.119
C 0.894 -1.049 0.387
C 1.807 -0.118 -0.436
H -0.191 1.611 0.017
H -1.862 1.977 0.555
H 1.390 -1.990 0.538
H 0.524 -0.776 1.384
H 2.854 -0.588 -0.890
N -1.151 1.239 0.183
O 1.532 1.089 -0.741
S -3.342 -0.106 -0.412
S -0.767 -1.339 -0.466

The spin multiplicity is 1. The frontier orbital gap comes out at 7.91 eV. As for the SMILES: NC(=S)SCC=O. As for the HOMO energy: -0.305 hartree.

=====

Here are the energies relative to the best structure, in eV: version one 6.573; version two 0.000.

=====

Version one
The following is a quantum chemistry calculation of one molecule with the formula C3H5NOS2, from OMol25.

CARTESIAN COORDINATES (ANGSTROEM)
C 0.722 1.613 0.164
C -1.559 -1.079 -0.141
C 1.017 -0.850 -0.050
H 0.476 1.736 1.301
H 1.821 1.569 0.066
H 0.163 2.439 -0.434
H -2.075 -1.268 -1.229
H -2.318 -1.312 0.572
N 0.256 0.292 -0.391
O -1.045 0.202 0.074
S -0.095 -2.229 0.129
S 2.637 -1.112 -0.060

The spin multiplicity is 1. The frontier orbital gap comes out at 8.89 eV. As for the SMILES: CN1OCSC1=S. As for the HOMO energy: -0.322 hartree.

=====

Version two
The following is a quantum chemistry calculation of C3H5NOS2 as an isolated structure, from OMol25.

CARTESIAN COORDINATES (ANGSTROEM)
C -1.707 0.243 0.051
C 0.532 -0.389 0.071
C 0.731 1.110 0.208
N -0.961 -0.781 0.093
O -1.208 -1.964 0.105
S -3.994 -0.094 -0.275
S -0.967 1.853 0.083
H 0.983 -0.918 -0.835
H 1.068 -0.935 0.941
H 1.022 1.412 1.215
H 1.313 1.760 -0.502
H -3.977 -1.471 -0.381

The spin multiplicity is 1. The frontier orbital gap comes out at 7.19 eV. As for the HOMO energy: -0.299 hartree.

=====

Here are the energies relative to the best structure, in eV: version one 0.000; version two 1.980.


(A)
Computed, not measured: 2 unconnected molecules or ions with the total composition C9H14O, with wB97M-V/def2-TZVPD.

Each atom is followed by the atoms it is bonded to, with distances in Å.
Element x y z (Å)
1 C 0.5971 -1.3824 -3.5503  C2 1.547, H3 1.095, H4 1.089, H5 1.091
2 C -0.8109 -2.0131 -3.4341  C1 1.547, H6 1.084, H7 1.089, H8 1.090
3 H 1.0944 -1.6564 -4.4869  C1 1.095
4 H 0.6291 -0.2957 -3.4847  C1 1.089
5 H 1.2311 -1.7670 -2.7494  C1 1.091